**Given:**
┌──
[1]
Diffraction record for Nb2Zn4O9. The PXRD pattern is theoretical, not measured: it uses a crystal structure in Alexandria, relaxed with GGA-PBE and Cu Kα X-rays.
Lines closer than 0.1° are merged.

Crystal structure
Cell lengths 5.259, 5.259, 14.381 Å; angles 90.00, 90.00, 120.00 degrees
Fractional positions:
Nb: 0.000 0.000 0.139
Nb: 0.000 0.000 0.361
Nb: 0.000 0.000 0.639
Nb: 0.000 0.000 0.861
Zn: 0.333 0.667 0.014
Zn: 0.333 0.667 0.295
Zn: 0.333 0.667 0.514
Zn: 0.333 0.667 0.795
Zn: 0.667 0.333 0.205
Zn: 0.667 0.333 0.486
Zn: 0.667 0.333 0.705
Zn: 0.667 0.333 0.986
O: 0.000 0.286 0.250
O: 0.000 0.714 0.750
O: 0.020 0.340 0.916
O: 0.020 0.680 0.416
O: 0.286 0.000 0.250
O: 0.286 0.286 0.750
O: 0.320 0.340 0.416
O: 0.320 0.980 0.916
O: 0.340 0.020 0.584
O: 0.340 0.320 0.084
O: 0.660 0.680 0.916
O: 0.660 0.980 0.416
O: 0.680 0.020 0.084
O: 0.680 0.660 0.584
O: 0.714 0.000 0.750
O: 0.714 0.714 0.250
O: 0.980 0.320 0.584
O: 0.980 0.660 0.084

Peak list (6 most intense, 10° ≤ 2θ ≤ 90°, by intensity)
Position (°2θ)  d (Å)  I (rel.)
31.71  2.822  100.0
34.10  2.630  71.2
47.25  1.924  37.3
59.54  1.553  34.7
61.03  1.518  26.0
51.60  1.771  22.9

[2]
Diffraction record for Zr6Nb2O17. The PXRD pattern is theoretical, not measured: it uses a crystal structure in Alexandria, relaxed with GGA-PBE and Cu Kα X-rays.
Lines closer than 0.1° are merged.

Crystal structure
Cell lengths 21.199, 21.199, 5.039 Å; angles 95.73, 95.73, 14.43 degrees
Fractional positions:
Zr: 0.000 0.000 0.000
Zr: 0.048 0.455 0.266
Zr: 0.178 0.567 0.399
Zr: 0.189 0.430 0.812
Zr: 0.433 0.822 0.601
Zr: 0.503 0.497 0.500
Zr: 0.545 0.952 0.734
Zr: 0.570 0.811 0.188
Zr: 0.673 0.073 0.876
Zr: 0.804 0.067 0.464
Zr: 0.927 0.327 0.124
Zr: 0.933 0.196 0.536
Nb: 0.062 0.313 0.649
Nb: 0.301 0.568 0.923
Nb: 0.432 0.699 0.077
Nb: 0.687 0.938 0.351
O: 0.013 0.593 0.175
O: 0.091 0.191 0.778
O: 0.108 0.723 0.221
O: 0.123 0.806 0.701
O: 0.177 0.014 0.286
O: 0.194 0.877 0.299
O: 0.196 0.317 0.896
O: 0.259 0.058 0.345
O: 0.277 0.892 0.779
O: 0.292 0.146 0.413
O: 0.305 0.643 0.169
O: 0.313 0.402 0.036
O: 0.357 0.695 0.831
O: 0.381 0.183 0.484
O: 0.407 0.987 0.825
O: 0.450 0.234 0.562
O: 0.471 0.338 0.620
O: 0.544 0.064 0.001
O: 0.597 0.237 0.105
O: 0.598 0.687 0.964
O: 0.611 0.318 0.744
O: 0.662 0.529 0.380
O: 0.682 0.389 0.256
O: 0.683 0.804 0.104
O: 0.763 0.403 0.895
O: 0.766 0.550 0.438
O: 0.803 0.151 0.285
O: 0.809 0.909 0.222
O: 0.817 0.619 0.516
O: 0.849 0.197 0.715
O: 0.854 0.708 0.587
O: 0.936 0.456 0.999
O: 0.942 0.741 0.655
O: 0.986 0.823 0.714

Peak list (6 most intense, 10° ≤ 2θ ≤ 90°, by intensity)
Position (°2θ)  d (Å)  I (rel.)
29.60  3.018  100.0
30.00  2.979  93.6
49.80  1.831  37.8
34.28  2.616  27.2
48.81  1.866  23.2
35.64  2.519  20.0

[3]
Diffraction record for NbOs8. The PXRD pattern is theoretical, not measured: it uses a crystal structure in Alexandria, relaxed with GGA-PBE and Cu Kα X-rays.
Lines closer than 0.1° are merged.

Crystal structure
Cell lengths 8.289, 6.178, 6.166 Å; angles 84.37, 47.88, 47.75 degrees
Fractional positions:
Nb: 0.000 0.000 0.000
Os: 0.000 0.337 0.663
Os: 0.000 0.663 0.337
Os: 0.328 0.328 0.672
Os: 0.328 0.672 0.328
Os: 0.337 0.000 0.000
Os: 0.663 0.000 0.000
Os: 0.672 0.328 0.672
Os: 0.672 0.672 0.328

Peak list (6 most intense, 10° ≤ 2θ ≤ 90°, by intensity)
Position (°2θ)  d (Å)  I (rel.)
40.11  2.248  100.0
68.24  1.374  21.1
46.43  1.956  16.4
46.54  1.951  16.3
46.99  1.934  16.1
82.58  1.168  12.9

[4]
Diffraction record for Nb7Os. The PXRD pattern is theoretical, not measured: it uses a crystal structure in Alexandria, relaxed with GGA-PBE and Cu Kα X-rays.
Lines closer than 0.1° are merged.

Crystal structure
Cell lengths 7.350, 7.350, 7.350 Å; angles 143.37, 143.37, 52.76 degrees
Fractional positions:
Nb: 0.000 0.000 0.000
Nb: 0.122 0.622 0.500
Nb: 0.248 0.248 0.000
Nb: 0.378 0.878 0.500
Nb: 0.622 0.122 0.500
Nb: 0.752 0.752 0.000
Nb: 0.878 0.378 0.500
Os: 0.500 0.500 0.000
└──

**Work order:**
Type out the notes further above from the first line to the one with "Nb: 0.687" unchanged, please.

**Worked solution:**
[1]
Diffraction record for Nb2Zn4O9. The PXRD pattern is theoretical, not measured: it uses a crystal structure in Alexandria, relaxed with GGA-PBE and Cu Kα X-rays.
Lines closer than 0.1° are merged.

Crystal structure
Cell lengths 5.259, 5.259, 14.381 Å; angles 90.00, 90.00, 120.00 degrees
Fractional positions:
Nb: 0.000 0.000 0.139
Nb: 0.000 0.000 0.361
Nb: 0.000 0.000 0.639
Nb: 0.000 0.000 0.861
Zn: 0.333 0.667 0.014
Zn: 0.333 0.667 0.295
Zn: 0.333 0.667 0.514
Zn: 0.333 0.667 0.795
Zn: 0.667 0.333 0.205
Zn: 0.667 0.333 0.486
Zn: 0.667 0.333 0.705
Zn: 0.667 0.333 0.986
O: 0.000 0.286 0.250
O: 0.000 0.714 0.750
O: 0.020 0.340 0.916
O: 0.020 0.680 0.416
O: 0.286 0.000 0.250
O: 0.286 0.286 0.750
O: 0.320 0.340 0.416
O: 0.320 0.980 0.916
O: 0.340 0.020 0.584
O: 0.340 0.320 0.084
O: 0.660 0.680 0.916
O: 0.660 0.980 0.416
O: 0.680 0.020 0.084
O: 0.680 0.660 0.584
O: 0.714 0.000 0.750
O: 0.714 0.714 0.250
O: 0.980 0.320 0.584
O: 0.980 0.660 0.084

Peak list (6 most intense, 10° ≤ 2θ ≤ 90°, by intensity)
Position (°2θ)  d (Å)  I (rel.)
31.71  2.822  100.0
34.10  2.630  71.2
47.25  1.924  37.3
59.54  1.553  34.7
61.03  1.518  26.0
51.60  1.771  22.9

[2]
Diffraction record for Zr6Nb2O17. The PXRD pattern is theoretical, not measured: it uses a crystal structure in Alexandria, relaxed with GGA-PBE and Cu Kα X-rays.
Lines closer than 0.1° are merged.

Crystal structure
Cell lengths 21.199, 21.199, 5.039 Å; angles 95.73, 95.73, 14.43 degrees
Fractional positions:
Zr: 0.000 0.000 0.000
Zr: 0.048 0.455 0.266
Zr: 0.178 0.567 0.399
Zr: 0.189 0.430 0.812
Zr: 0.433 0.822 0.601
Zr: 0.503 0.497 0.500
Zr: 0.545 0.952 0.734
Zr: 0.570 0.811 0.188
Zr: 0.673 0.073 0.876
Zr: 0.804 0.067 0.464
Zr: 0.927 0.327 0.124
Zr: 0.933 0.196 0.536
Nb: 0.062 0.313 0.649
Nb: 0.301 0.568 0.923
Nb: 0.432 0.699 0.077
Nb: 0.687 0.938 0.351